
Ocean Acidification

Ocean acidification: The scientific community are becoming increasingly worried about this development, which is a direct result of the increase in atmospheric carbon dioxide levels. Absorption rates can vary, but approximately 40% of global anthropogenic (human) carbon dioxide emissions remain in the atmosphere, the rest is taken up by vegetation on land or absorbed by the world’s oceans, currently in about equal proportions. Ocean acidification caused by increased carbon dioxide uptake by the oceans is expected to reduce surface ocean pH by 0.3 – 0.5 units over the next century, which would be the largest change in pH to occur in the last 20-200 million years.

We know that the carbon dioxide is a direct result of burning fossil fuels, as unlike the make up of living organisms, fossil fuels contain little or none of the radioactive form of carbon, that is, the carbon 14 isotope, which has eight neutrons in the nucleus rather than the usual six. Fossil fuels also display a unique ratio of the two stable isotopes of carbon (carbon 12 and 13). The combustion of these fuels thus leaves a distinctive isotopic signature in the atmosphere. So no one can question where the growing surplus of carbon dioxide comes from.

The Royal Society of London published a report Ocean acidification in 2005, which summarised the salient points:

1. Carbon dioxide from the atmosphere dissolves in the ocean making it more acidic.

2. This is inevitable with high carbon dioxide, no fancy models are involved.

3. The oceans have already become 30% more acidic than before fossil fuel burning started.

4. Acidification will kill corals, and destroy other marine life.

5. There has been no period like this in the past 2 million years. 

Ocean pH acidity graph

Increases In Carbon Dioxide Leads To Ocean Acidification

There is equilibrium between atmospheric carbon dioxide and carbon dioxide (CO2) dissolved in seawater: as atmospheric levels increase, so do the levels of CO2 dissolved in the ocean waters, especially in the surface waters where most ocean life flourishes. Each day millions of tons of CO2 are dissolved in seawater, reacting to form carbonic acid (H2CO3). This reaction lowers the pH, which is indicative of rising acidity.

Evidence indicates that emissions of carbon dioxide from human activities over the past 200 years have already led to a reduction in the average pH of surface seawater of 0.1 units and could fall by 0.5 units by the year 2100. This pH is probably lower than has been experienced for hundreds of millennia and, critically, at a rate of change probably 100 times greater than at any time over this period. This is potentially disastrous as common marine organisms, such as the fish we use as food, may be unable to survive.

NOAA scientists (2006) have indicated that pH is decreasing and there are increases in dissolved inorganic carbon in surface waters over a large section of the north-eastern Pacific. “The pH decrease is direct evidence of ocean acidification in the Pacific Ocean,” said NOAA scientist Richard Feely. “These dramatic changes can be attributed, in most part, to anthropogenic CO2 uptake by the ocean over the past 15 years. This verifies earlier model projections that the oceans are becoming more acidic because of the uptake of carbon dioxide released as a result of fossil fuel burning.” 

What Life Forms Will Be Affected?

Some of the most abundant lifeforms that could be affected by ocean acidification are a type of phytoplankton called coccolithophorids, which are covered with small plates of calcium carbonate and are commonly found floating near the surface of the ocean (where they use the abundant sunlight for photosynthesis). Other important examples are planktonic organisms called foraminifera (which are related to amoeba) and pteropods (small marine snails). 

Pteropod or marine snail

The image above is a swimming pteropod, known scientifically as Limacina helicina. These free-swimming planktonic molluscs form a calcium carbonate shell made of aragonite. They are an important food source for juvenile North Pacific salmon and also are eaten by mackerel, herring and cod. 

Experiments carried out at sea have shown that the shells of live pteropods dissolve when seawater reaches corrosive levels. Ocean acidification is detrimental to high-latitude ecosystems and highly acidic conditions could develop within decades, not centuries as suggested previously.

A fall in the numbers of pteropods could cause a chain reaction since they make up the basic food for organisms from zooplankton to whales, as well as for species that are important commercially, such as North Pacific salmon. For example, the plankton on which cod larvae feed would disappear, and the cod would then go too, and something else not linked heavily to the food chain – like jellyfish – will move into their niche in the ecosystem.

Coral Reefs, which are viewed as the ocean’s rain forests because of their amazing biological diversity are also threatened by acidification. About a quarter of all ocean species spend at least part of their life cycle on reefs. Calcium carbonate is essential for the development of coral, and it also provides a habitat for deep-sea fish, eels, crabs, sea urchins, etc, while the external skeleton of sea urchins is also directly threatened by acidification.

Coralline algae (algae that also secrete calcium carbonate and often resemble corals) also contribute to the calcification of many reefs. The Great Barrier Reef off the coast of Australia, is the largest biological structure in the world and is simply the accumulation of generation after generation of coral and coralline algae. Marine scientist from Australia Queensland University, say that coral cover will decrease to less than five percent on most reefs by the middle of the century under even the most favourable assumptions.

Skeletal records of corals in the Great Barrier Reef show that calcification has declined by 14.2% since 1990(1). The data suggest that such a severe and sudden decline in calcification is unprecedented in at least the past 400 years.

This outcome is due to both sea temperatures rises, which bleaches coral , and rising ocean acidity. (Warmer sea waters make corals suffer thermal stress; eventually making them bleach and die.)

It has been estimated that up to 80% of the coral coverage in the Caribbean has already been lost in the last 30 years (also affected by pollution and overfishing ).


Continuing along the path of burning fossil fuels and releasing millions of tons each day of carbon dioxide which is absorbed by the oceans, will have impacts on marine ecosystems that will be direct, profound and irreversible.

Misplaced molecular data >
********
Below is the molecule C6H9NO3S2, with properties calculated with ωB97M-V/def2-TZVPD.

Bonds (Å) are listed after each position.
Element x y z (Å)
1 C -0.3104 -0.3681 -0.2130  C2 1.316, C3 1.509, C6 1.468
2 C -1.1172 -1.3733 -0.4805  C1 1.316, S11 1.755
3 C -0.5548 0.7729 -1.1692  C1 1.509, C5 1.573, H13 1.165, H14 1.080
4 C 0.8885 -1.3745 1.8369  C6 1.579, N7 1.517, H15 1.123, H16 1.053
5 C -1.5849 0.3625 -2.2847  C3 1.573, S11 1.830, H17 1.116, H18 1.140
6 C 0.4896 -0.1030 0.9893  C1 1.468, C4 1.579, O10 1.434, H19 1.146
7 N -0.3615 -1.8408 2.5586  C4 1.517, S12 1.599, H20 1.067
8 O -0.5313 -4.0419 1.5006  S12 1.414
9 O -2.5654 -2.9983 2.4744  S12 1.456
10 O 0.0779 0.9900 1.8212  C6 1.434, H21 0.979
11 S -1.9914 -1.3988 -2.0025  C2 1.755, C5 1.830
12 S -1.2914 -2.8825 1.7800  N7 1.599, O8 1.414, O9 1.456
13 H -0.9556 1.6514 -0.5167  C3 1.165
14 H 0.2197 1.2659 -1.7390  C3 1.080
15 H 1.0790 -2.1154 1.0153  C4 1.123
16 H 1.6930 -1.1365 2.4738  C4 1.053
17 H -2.5908 0.8427 -2.2274  C5 1.116
18 H -1.3414 0.5660 -3.3792  C5 1.140
19 H 1.5020 0.1009 0.4925  C6 1.146
20 H -1.0673 -1.1133 2.8932  N7 1.067
21 H -0.6157 1.5325 1.3927  O10 0.979

The net charge is 0. For the largest force on an atom, the calculation gives 4.60 eV/A. As for the energy relative to the best compared isomer or geometry (same formula, charge and spin): 397.9 kJ/mol. The calculation puts the electronic energy at -35665.9362 eV.

Below is the molecule C6H9NOS2, with properties calculated with ωB97M-V/def2-TZVPD.

Bonds (Å) are listed after each position.
Element x y z (Å)
1 C -1.4225 -0.5760 -1.5855  N7 1.293, S9 1.569
2 C -0.0268 -2.0401 -0.0833  N7 1.476, O8 1.190, S10 1.800
3 C 0.3344 0.5103 1.4419  C4 1.477, C5 1.504, S10 1.679
4 C -1.0716 0.8662 1.7217  C3 1.477, H11 1.133, H12 1.157, H13 1.001
5 C 1.4997 1.4040 1.1180  C3 1.504, H14 1.026, H15 1.168, H16 1.118
6 C -0.2600 -2.4210 -2.4336  N7 1.434, H17 0.989, H18 1.024, H19 1.070
7 N -0.5991 -1.5444 -1.3508  C1 1.293, C2 1.476, C6 1.434
8 O 0.2353 -3.1991 -0.0193  C2 1.190
9 S -2.1582 0.7132 -1.0782  C1 1.569
10 S 0.5332 -1.1556 1.3806  C2 1.800, C3 1.679
11 H -1.6942 1.1882 0.8316  C4 1.133
12 H -1.2798 1.8691 2.2598  C4 1.157
13 H -1.6207 0.1206 2.1030  C4 1.001
14 H 1.4021 2.1981 1.7595  C5 1.026
15 H 1.5294 1.8535 0.0406  C5 1.168
16 H 2.4475 0.8114 1.1430  C5 1.118
17 H -0.8541 -3.2112 -2.4335  C6 0.989
18 H -0.5178 -1.8323 -3.2311  C6 1.024
19 H 0.7691 -2.6655 -2.5917  C6 1.070

The net charge is 0. For the largest force on an atom, the calculation gives 5.83 eV/A. As for the energy relative to the best compared isomer or geometry (same formula, charge and spin): 414.8 kJ/mol. The calculation puts the electronic energy at -31570.9886 eV.

Below is the molecule C6H9NS, with properties calculated with ωB97M-V/def2-TZVPD.

Bonds (Å) are listed after each position.
Element x y z (Å)
1 C -0.8887 2.0508 -0.2077  C2 1.332, H9 1.094, H10 1.078
2 C -0.9233 0.7632 0.1333  C1 1.332, C3 1.526, C8 1.490
********

Ocean acidification is essentially irreversible during our lifetimes. It will take tens of thousands of years for ocean chemistry to return to a condition similar to that occurring at pre-industrial times (about 200 years ago). Our ability to reduce ocean acidification through artificial methods such as the addition of chemicals is unproven. These techniques will at best be effective only at a very local scale, and could also cause damage to the marine environment.

Reducing CO2 emissions to the atmosphere is the only practical way to minimise the risk of large-scale and long term changes to the oceans.

(1)De’ath G, Lough JM, Fabricius KE (2009, Declining coral calcification on the great barrier reef. Science, 323(116).